Nuland Frets Over Fading Support for World War III Project in Ukraine
Feb. 28, 2023, 2022 (EIRNS)—Neo-con heavy and the Maidan coup’s queen Victoria Nuland has taken aim at the voices not on board for World War III, labeling them as part of the dreaded “fringe.” Nuland, who is presently the State Department’s Under Secretary for Political Affairs, is likely unnerved by the demonstration over this past weekend by more than 50,000 people in Berlin and other cities in Germany, who went into the streets protesting NATO’s proxy war in Ukraine, with thousands more protesting across Europe. Those protests built upon a smaller, yet focused, “Rage Against the War Machine” protest of a few thousand people in Washington, D.C., on Feb. 19, which explicitly rejected the fake left-versus-right paradigm.
Speaking to a Feb. 27 event hosted by the U.S. Chamber of Congress, Nuland stated that “on the fringes of both parties, people are starting to question, but fundamentally, when you look at how this issue is polling around the country, Americans hate a bully,” though not clarifying to which bully she was referring. Nuland also tried to downplay those on the “fringe,” by noting that the U.S. has contributed more than $30 billion to Ukraine. “You can’t do that without overwhelming support of both parties in the Congress,” she added.
# Someone pasted quantum chemistry results at this point
********
No. 1
{
  "formula": "C26H34FeIN5O3",
  "method": "ωB97M-V/def2-TZVPD",
  "species": ["I", "Fe", "O", "O", "O", "N", "N", "N", "N", "N", "C", "C", "C", "C", "C", "C", "C", "C", "C", "C", "C", "C", "C", "C", "C", "C", "C", "C", "C", "C", "C", "C", "C", "C", "C", "C", "H", "H", "H", "H", "H", "H", "H", "H", "H", "H", "H", "H", "H", "H", "H", "H", "H", "H", "H", "H", "H", "H", "H", "H", "H", "H", "H", "H", "H", "H", "H", "H", "H", "H"],
  "positions_angstrom": [[0.3559, 0.3977, -6.6745], [-0.1250, -0.3603, -0.3324], [-0.1829, 1.4469, -0.5118], [1.0980, 1.0328, 1.8731], [-2.0035, -0.2064, -0.5123], [-0.7152, -0.8895, 1.6156], [1.8368, -0.2910, -0.9140], [-0.3796, -0.2443, -2.5546], [-1.6183, -0.0755, -3.0104], [-0.1574, -2.7815, -0.5101], [-1.7570, -0.5337, 2.2618], [-0.3382, 0.1340, -4.7630], [2.4042, 2.7185, 3.0562], [-5.0474, 1.1677, 1.9357], [-1.6466, 0.1552, -4.3304], [-2.9430, 0.2594, 0.2942], [1.2693, 4.7236, -0.2746], [-5.0902, 1.3391, 0.5459], [2.5357, 0.7885, -0.9691], [-4.0639, 0.8964, -0.2593], [2.6336, 4.4631, -0.4913], [0.4161, -0.1140, -3.6098], [-0.0227, -3.1676, 1.9765], [2.3089, -2.6472, -0.3255], [-1.0614, -3.0072, -1.6570], [0.2686, -1.6959, 2.3141], [0.7368, 2.3818, -0.5049], [2.0916, 2.1194, -0.7260], [-2.8846, 0.1265, 1.6824], [3.0280, 3.1719, -0.7271], [-3.9418, 0.5731, 2.4914], [2.5375, -1.5199, -1.3063], [-0.8176, -3.3292, 0.6856], [0.3377, 3.7115, -0.2887], [2.2035, 1.2498, 2.7560], [1.1285, -3.4984, -0.7275], [-1.0326, -4.3961, 0.5449], [-5.8695, 1.4948, 2.5558], [1.2438, -1.3672, 1.9735], [2.1379, -2.2236, 0.6598], [0.9188, -3.7195, 1.9699], [2.1499, -1.8068, -2.2887], [-0.5972, -2.6624, -2.5757], [-5.9412, 1.8333, 0.0952], [1.5572, 3.1214, 3.6167], [0.2433, -1.5585, 3.3982], [-1.7760, -2.8193, 0.7699], [0.9406, 5.7383, -0.0883], [3.2033, -3.2688, -0.2491], [-2.5653, 0.3114, -4.8699], [0.3639, 1.5917, 2.1533], [-0.7168, 3.9045, -0.1383], [-1.2897, -4.0747, -1.7522], [-2.3420, -0.0766, -2.2984], [-4.0985, 1.0471, -1.3314], [3.3016, 2.8634, 3.6591], [1.4862, -0.1976, -3.5197], [-1.8119, -0.7699, 3.3278], [3.6049, -1.3253, -1.4262], [2.5131, 3.2878, 2.1319], [-3.8686, 0.4484, 3.5660], [3.0748, 0.8367, 2.2441], [1.1386, -4.4344, -0.1632], [4.0732, 2.9442, -0.9053], [1.1994, -3.7782, -1.7795], [3.3559, 5.2667, -0.4779], [-0.6445, -3.6223, 2.7507], [2.0535, 0.6842, 3.6819], [-1.9891, -2.4617, -1.4975], [3.5883, 0.6935, -1.2452]],
  "relative_energy_kcal_mol": 26.9,
  "e_tot_ha": -3071.83408,
  "lumo_energy_ev": [-3.5364, -3.0931],
  "homo_ev": [-10.75, -10.82],
  "molar_mass_g_mol": 647.3,
  "largest_force_ha_per_bohr": 0.033,
  "multiplicity": 2,
  "gap_ev": [7.21, 7.72],
  "total_charge": 1
}

No. 2
{
  "formula": "C26H34GaNO",
  "method": "ωB97M-V/def2-TZVPD",
********
# The entry goes on
Nuland’s comments on polling data come in the context of a recent AP-NORC Center for Public Affairs Research poll, which found that 48% of Americans support the U.S. providing weapons to Ukraine, with 29% opposed and 22% remaining on the fence. While the poll indicates that there are more people in favor of arming Ukraine than are against, it should be noted that a similar poll last May showed support at 60%; thus, the new poll indicates a 12% drop.
Nuland’s jitters about the fading support for her proxy war in Ukraine come in the context of Florida Republican Rep. Matt Gaetz’s Feb. 9 introduction of the “Ukraine Fatigue Resolution” and its dozen co-sponsors in the U.S. House of Representatives. Elsewhere on the fringe, Elon Musk said on a Twitter post last week that “nobody is pushing this war more than Nuland,” while former President Donald Trump said in a Feb. 21 video that “for decades, we’ve had the very same people, such as Victoria Nuland and many others just like her, obsessed with pushing Ukraine toward NATO, not to mention the State Department support for uprisings in Ukraine.” Meanwhile, the Feb. 8 revelations of Seymour Hersh have identified Nuland as part of the small team that conspired to blow up Nord Stream—which if true, could have Nuland as part of the small fringe in history accused of war crimes.